An old friend once told me that when things are going crazy in my life, and this was back in high school, I make myself very busy. I study like there's no tomorrow. I make pages and pages of reviewers. I loved the idea that it consumes my mornings and nights.
And now that I'm working, I see the same pattern. When I was trying to get over a heart break, I bombarded myself with things at work. I come in early, I leave late. I skip my breaks and rarely take my full lunch. It seemed as if I live and breathe work.
Then I came across this line in the book I'm reading: "We often rush around looking busy, trying to solve problems, but in reality, we are often compounding them." Is that so? So all this time, I was just fooling myself into thinking that this was my way of moving on. But really, it is just masking the chaos that is taking place within me.
Like I mentioned yesterday, my weekend was an extra-ordinary one. I tried to go on a spiritual retreat. I think it was something that was much needed and much awaited. Weird as it may sound, I got myself a hotel room. Though I didn't do anything special, just the idea that I wasn't home and I wasn't with anybody was heaven. I didn't have Internet access and I didn't call or text anybody. I was away from it all.
# The piece is interrupted by calculated crystals
/*
1.
The following is a PBE+U calculation of MgMn4Si8O22 after structural relaxation, from Materials Project.

a = 7.155 Å, b = 7.710 Å, c = 8.759 Å
α = 97.27°, β = 102.25°, γ = 108.68°
Sites, in units of the cell vectors:
Mg1 0.000 0.000 0.000
Mn1 0.037 0.378 0.522
Mn2 0.295 0.100 0.766
Mn3 0.502 0.381 0.540
Mn4 0.782 0.133 0.743
Si1 0.105 0.972 0.378
Si2 0.197 0.541 0.903
Si3 0.371 0.780 0.534
Si4 0.398 0.148 0.186
Si5 0.628 0.527 0.930
Si6 0.677 0.983 0.359
Si7 0.916 0.721 0.747
Si8 0.924 0.374 0.116
O1 0.080 0.357 0.754
O2 0.113 0.520 0.061
O3 0.143 0.713 0.830
O4 0.151 0.798 0.445
O5 0.177 0.997 0.213
O6 0.229 0.168 0.515
O7 0.300 0.156 0.005
O8 0.318 0.565 0.565
O9 0.444 0.595 0.960
O10 0.475 0.336 0.321
O11 0.477 0.949 0.692
O12 0.523 0.812 0.415
O13 0.551 0.359 0.769
O14 0.554 0.031 0.201
O15 0.735 0.459 0.082
O16 0.777 0.169 0.507
O17 0.786 0.556 0.593
O18 0.802 0.714 0.899
O19 0.855 0.173 0.992
O20 0.859 0.917 0.317
O21 0.966 0.943 0.742
O22 0.984 0.354 0.298

Output
DFT total energy in eV/cell: -269.53
Formation energy from the elements in eV/atom: -2.8803
Corrected total energy (MP2020 scheme) in Ry/atom: -0.6118
Distance to the lowest polymorph of the same formula in eV/atom: 0.0143

2.
The following is a PBE+U calculation of MgMnSiO4 after structural relaxation, from Materials Project.

a = 10.673 Å, b = 6.213 Å, c = 4.843 Å
α = 90.00°, β = 90.00°, γ = 90.00°
Sites, in units of the cell vectors:
Mg1 0.000 0.000 0.000
Mg2 0.000 0.500 0.000
Mg3 0.500 0.000 0.500
Mg4 0.500 0.500 0.500
Mn1 0.221 0.250 0.487
Mn2 0.279 0.750 0.987
Mn3 0.721 0.250 0.013
Mn4 0.779 0.750 0.513
Si1 0.090 0.750 0.422
Si2 0.410 0.250 0.922
Si3 0.590 0.750 0.078
Si4 0.910 0.250 0.578
O1 0.050 0.250 0.733
O2 0.085 0.750 0.759
O3 0.158 0.538 0.277
O4 0.158 0.962 0.277
O5 0.342 0.038 0.777
O6 0.342 0.462 0.777
O7 0.415 0.250 0.259
O8 0.450 0.750 0.233
O9 0.550 0.250 0.767
O10 0.585 0.750 0.741
O11 0.658 0.538 0.223
O12 0.658 0.962 0.223
O13 0.842 0.038 0.723
O14 0.842 0.462 0.723
O15 0.915 0.250 0.241
O16 0.950 0.750 0.267

Output
DFT total energy in eV/cell: -207.78
Formation energy from the elements in eV/atom: -2.9116
Corrected total energy (MP2020 scheme) in Ry/atom: -0.5918

3.
The following is a PBE+U calculation of MgMn4Si8O22 after structural relaxation, from Materials Project.

a = 7.162 Å, b = 7.742 Å, c = 8.727 Å
α = 95.51°, β = 103.81°, γ = 108.72°
Sites, in units of the cell vectors:
Mg1 0.000 0.000 0.000
Mn1 0.269 0.352 0.689
Mn2 0.472 0.635 0.457
Mn3 0.763 0.354 0.674
Mn4 0.989 0.633 0.446
Si1 0.071 0.244 0.293
Si2 0.164 0.783 0.829
Si3 0.333 0.032 0.448
Si4 0.357 0.412 0.097
Si5 0.585 0.782 0.838
Si6 0.640 0.237 0.284
Si7 0.881 0.980 0.659
Si8 0.882 0.616 0.035
O1 0.043 0.610 0.679
O2 0.093 0.769 0.997
O3 0.096 0.965 0.783
O4 0.123 0.059 0.335
O5 0.130 0.261 0.119
O6 0.199 0.428 0.432
O7 0.268 0.819 0.482
O8 0.316 0.454 0.921
O9 0.412 0.853 0.882
O10 0.435 0.196 0.606
O11 0.436 0.593 0.237
O12 0.499 0.058 0.342
O13 0.499 0.279 0.127
*/
# So much for the calculated crystals
And the following day, I went to a shopping center a little closer to home but it had a hidden paradise, at least to me it did. And that just even added more to this special retreat I was trying to have. There were a couple of chairs and a table under a shade. The weather was perfect because it was sunny but with a cool breeze. You can hear the calming sound of the water flowing and the birds chirping. That's when I started writing...
I also bought a couple of books. Pathetic I may sound but I got these books from the self-help section. I'm not a big fan of books but every now and then I come across books that I would read and actually enjoy. So probably for the next few days you will hear me talk about what I've learned from these books.
There are already three things that caught my attention...
The greatest discovery of my generation is that a human being can alter his life by altering his attitude. - William James
When you learn to "let go" of problems instead of resisting with all your might, your life will begin to flow. - Zen Philosophy
I would probably talk about these more once I've read a few chapters. Maybe I need to have a deeper understanding of these words before I actually share my thoughts on them. But as is, I already feel good writing my thoughts. And though I don't think there's a lot of people reading this, it's enough for me to know that I have shared something to this world.Change the things that can be changed, accept those that
cannot and have the wisdom to know the difference. - Serenity Prayer
Plato and Socrates thought one of the most important things to the continued growth of humanity was the dialectic, a conversation and sharing of ideas between two or more people. Sharing your thoughts with others is the best way to a deeper understanding.
ReplyDeleteI for one will be looking forward to reading more of what you have to say and more of what you are thinking. It makes me want to start writing on my blog again.
As a suggestion there are two authors who have really influenced me and help guide me when I needed someone to light the way.
Between two parts of the page: calculated crystals
~~~
No. 1
K2Se4N | GGA-PBE | relaxed

a b c (Å): 10.013 7.660 11.264
angles (deg): 90.00 92.43 90.00
Space group Cc (No. 9)
Inequivalent atoms, fractional coordinates:
K1 0.000 0.180 0.000 [4 per cell]
K2 0.120 0.309 0.648 [4 per cell]
Se1 0.025 0.240 0.310 [4 per cell]
Se2 0.314 0.057 0.048 [4 per cell]
Se3 0.368 0.034 0.845 [4 per cell]
Se4 0.397 0.494 0.247 [4 per cell]
N1 0.226 0.442 0.969 [4 per cell]

Properties
calculated volume	863.2	Å³ per cell
VASP energy	-3.3765	eV/atom
size of the total moment	3.0	μB per formula unit
energy with MP2020 corrections	-95.99	eV/cell
energy of formation	0.078	eV per atom

No. 2
K3Si3N5 | GGA-PBE | relaxed

a b c (Å): 5.582 7.220 8.234
angles (deg): 105.77 94.69 100.91
Space group P-1 (No. 2)
Inequivalent atoms, fractional coordinates:
K1 0.129 0.325 0.410 [2 per cell]
K2 0.148 0.120 0.744 [2 per cell]
K3 0.333 0.928 0.115 [2 per cell]
Si1 0.187 0.475 0.094 [2 per cell]
Si2 0.424 0.594 0.783 [2 per cell]
Si3 0.433 0.823 0.483 [2 per cell]
N1 0.146 0.541 0.896 [2 per cell]
N2 0.281 0.002 0.445 [2 per cell]
N3 0.317 0.274 0.070 [2 per cell]
N4 0.349 0.700 0.632 [2 per cell]
N5 0.418 0.623 0.278 [2 per cell]

Properties
calculated volume	310.5	Å³ per cell
VASP energy	-6.2206	eV/atom
size of the total moment	0.0	μB per formula unit
energy with MP2020 corrections	-140.46	eV/cell
energy of formation	-0.813	eV per atom

No. 3
KSnN | GGA-PBE | relaxed

a b c (Å): 3.4622 3.4622 12.2397
angles (deg): 90.00 90.00 120.00
Space group P6_3mc (No. 186)
Inequivalent atoms, fractional coordinates:
K1 0.3333 0.6667 0.0000 [2 per cell]
Sn1 0.0000 0.0000 0.2566 [2 per cell]
N1 0.3333 0.6667 0.3429 [2 per cell]

Properties
calculated volume	127.1	Å³ per cell
VASP energy	-4.5009	eV/atom
size of the total moment	0.0	μB per formula unit
energy with MP2020 corrections	-27.73	eV/cell
energy of formation	-0.136	eV per atom

No. 4
KSnN3 | GGA-PBE | relaxed

a b c (Å): 6.7820 6.7820 7.8313
angles (deg): 90.00 90.00 120.00
Space group P-3 (No. 147)
Inequivalent atoms, fractional coordinates:
K1 0.3333 0.6667 0.3944 [2 per cell]
Sn1 0.3333 0.6667 0.8805 [2 per cell]
N1 0.0830 0.3943 0.7265 [6 per cell]

Properties
calculated volume	311.9	Å³ per cell
VASP energy	-4.1153	eV/atom
size of the total moment	6.0	μB per formula unit
energy with MP2020 corrections	-43.32	eV/cell
energy of formation	1.694	eV per atom

No. 5
KSnN | GGA-PBE | relaxed

a b c (Å): 7.008 7.654 3.338
angles (deg): 90.00 104.57 90.00
Space group Cm (No. 8)
Inequivalent atoms, fractional coordinates:
K1 0.000 0.000 0.000 [2 per cell]
Sn1 0.494 0.000 0.723 [2 per cell]
N1 0.182 0.500 0.322 [2 per cell]

Properties
calculated volume	173.3	Å³ per cell
VASP energy	-4.3246	eV/atom
size of the total moment	0.0	μB per formula unit
energy with MP2020 corrections	-26.67	eV/cell
energy of formation	0.041	eV per atom

No. 6
K2SnN2 | GGA-PBE | relaxed

a b c (Å): 3.4605 3.4605 10.6610
angles (deg): 90.00 90.00 120.00
Space group P-3m1 (No. 164)
~~~
First is Khalil Gibran his quote "Out of suffering have emerged the strongest souls; our most massive characters are seared with scars." is one of my favorites. His writings are revealing and at the same time complex, he teaches and challenges in the same sentence.
Secondly is Bruce Lee, the man was more than a martial artist he was as he wanted to be an "Artist of Life". He has many famous sayings one that I think is appropriate for now is "There is no help except self-help". Don't feel pathetic because you bought books from the self help section it doesn't matter if answers come from there, philosophy, fiction, or even cooking what matters is the search for answers.
Guess instead of a comment I kinda wrote a blog post myself. I'll try to keep them shorter in the future.